Brief =
Now restate all of the entries underneath with every line break kept.
Data =
/*
# K2Mn2Pt

An optimized crystal structure of K2Mn2Pt (PBE, Alexandria).

Output
Fermi-level density of states, states/eV per cell: 9.452
Space-group type: No. 127
Excess energy over the best structure of this formula in the dataset, kJ/mol of atoms: 4.87
Magnetic moment, μB per formula unit: 3.5
Formation energy, meV per atom: 1194.6

a = 9.4905 Å, b = 9.4905 Å, c = 2.7494 Å
α = 90.00°, β = 90.00°, γ = 90.00°
With the nearest neighbours (Å) after each atom.
Fractional coordinates of all 10 atoms:
K1 0.2137 0.2863 0.0000  2 K 2.75
K2 0.2863 0.7863 0.0000  2 K 2.75
K3 0.7137 0.2137 0.0000  2 K 2.75
K4 0.7863 0.7137 0.0000  2 K 2.75
Mn1 0.0689 0.5689 0.5000  1 Mn 1.85
Mn2 0.4311 0.0689 0.5000  1 Mn 1.85
Mn3 0.5689 0.9311 0.5000  1 Mn 1.85
Mn4 0.9311 0.4311 0.5000  1 Mn 1.85
Pt1 0.0000 0.0000 0.5000  2 Pt 2.75
Pt2 0.5000 0.5000 0.5000  2 Pt 2.75

----------

[1]
## Pr3AsS5Cl2 (meta-GGA SCAN)

Data for Pr3AsS5Cl2 at its PBEsol-relaxed geometry.

**Energy relative to the elements, uncorrected**: -1.96 eV per atom
**Space group**: Cc

Geometry as POSCAR:
```
Pr3AsS5Cl2
1.0
10.861 -3.452 0.000
10.861 3.452 0.000
-1.057 0.000 6.893
Pr As S Cl
6 2 10 4
Direct
0.055 0.637 0.845
0.203 0.797 0.500
0.488 0.912 0.865
0.637 0.055 0.345
0.797 0.203 0.000
0.912 0.488 0.365
0.353 0.736 0.064
0.736 0.353 0.564
0.001 0.162 0.371
0.162 0.001 0.871
0.393 0.543 0.832
0.543 0.393 0.332
0.562 0.665 0.529
0.665 0.562 0.029
0.714 0.827 0.603
0.827 0.714 0.103
0.867 0.986 0.667
0.986 0.867 0.167
0.111 0.319 0.735
0.228 0.449 0.477
0.319 0.111 0.235
0.449 0.228 0.977
```

=====

[2]
## AsPtCl2 (meta-GGA SCAN)

Data for AsPtCl2 at its PBEsol-relaxed geometry.

**Energy relative to the elements, uncorrected**: 0.32 eV per atom
**Space group**: Cmmm

Geometry as POSCAR:
```
AsPtCl2
1.0
1.511 -2.862 0.000
1.511 2.862 0.000
0.000 0.000 8.707
As Pt Cl
1 1 2
Direct
0.000 0.000 0.000
0.000 0.000 0.500
0.500 0.500 0.288
0.500 0.500 0.712
```

=====

[3]
## AsPtCl2 (meta-GGA SCAN)

Data for AsPtCl2 at its PBEsol-relaxed geometry.

**Energy relative to the elements, uncorrected**: 0.79 eV per atom
**Space group**: P4/mmm

Geometry as POSCAR:
```
AsPtCl2
1.0
4.224 0.000 0.000
0.000 4.224 0.000
0.000 0.000 3.903
As Pt Cl
1 1 2
Direct
0.000 0.000 0.000
0.500 0.500 0.000
0.000 0.500 0.500
0.500 0.000 0.500
```

=====

[4]
## AsPtCl2 (meta-GGA SCAN)

Data for AsPtCl2 at its PBEsol-relaxed geometry.

**Energy relative to the elements, uncorrected**: 0.20 eV per atom
**Space group**: R-3m

Geometry as POSCAR:
```
AsPtCl2
1.0
1.540 0.889 8.758
-1.540 0.889 8.758
0.000 -1.778 8.758
As Pt Cl
1 1 2
Direct
0.000 0.000 0.000
0.500 0.500 0.500
0.414 0.414 0.414
0.586 0.586 0.586
```

=====

[5]
## AsPtCl2 (meta-GGA SCAN)

Data for AsPtCl2 at its PBEsol-relaxed geometry.

**Energy relative to the elements, uncorrected**: 0.77 eV per atom
**Space group**: Cmmm

Geometry as POSCAR:
```
AsPtCl2
1.0
2.974 -3.950 0.000
2.974 3.950 0.000
0.000 0.000 2.940
As Pt Cl
1 1 2
Direct
0.000 0.000 0.000
0.500 0.500 0.000
0.000 0.500 0.500
0.500 0.000 0.500
```

=====

[6]
## AsPtCl2 (meta-GGA SCAN)

Data for AsPtCl2 at its PBEsol-relaxed geometry.

**Energy relative to the elements, uncorrected**: 0.26 eV per atom
**Space group**: Fmmm

Geometry as POSCAR:
```
AsPtCl2
1.0
0.000 3.079 4.113
2.846 0.000 4.113
2.846 3.079 0.000
As Pt Cl
1 1 2
Direct
0.000 0.000 0.000
0.500 0.500 0.500
0.000 0.500 0.500
0.500 0.000 0.000
```

=====

[7]
## AsPt2Cl (meta-GGA SCAN)

Data for AsPt2Cl at its PBEsol-relaxed geometry.

**Energy relative to the elements, uncorrected**: 0.21 eV per atom
**Space group**: Cmmm

Geometry as POSCAR:
```
AsPt2Cl
1.0
2.258 -2.282 0.000
2.258 2.282 0.000
0.000 0.000 6.434
As Pt Cl
1 2 1
Direct
0.000 0.000 0.000
0.500 0.500 0.214
0.500 0.500 0.786
0.000 0.000 0.500
```

=====

[8]
## AsPt2Cl (meta-GGA SCAN)

Data for AsPt2Cl at its PBEsol-relaxed geometry.

**Energy relative to the elements, uncorrected**: 0.22 eV per atom
**Space group**: Imm2

Geometry as POSCAR:
```
AsPt2Cl
1.0
*/
Result =
# K2Mn2Pt

An optimized crystal structure of K2Mn2Pt (PBE, Alexandria).

Output
Fermi-level density of states, states/eV per cell: 9.452
Space-group type: No. 127
Excess energy over the best structure of this formula in the dataset, kJ/mol of atoms: 4.87
Magnetic moment, μB per formula unit: 3.5
Formation energy, meV per atom: 1194.6

a = 9.4905 Å, b = 9.4905 Å, c = 2.7494 Å
α = 90.00°, β = 90.00°, γ = 90.00°
With the nearest neighbours (Å) after each atom.
Fractional coordinates of all 10 atoms:
K1 0.2137 0.2863 0.0000  2 K 2.75
K2 0.2863 0.7863 0.0000  2 K 2.75
K3 0.7137 0.2137 0.0000  2 K 2.75
K4 0.7863 0.7137 0.0000  2 K 2.75
Mn1 0.0689 0.5689 0.5000  1 Mn 1.85
Mn2 0.4311 0.0689 0.5000  1 Mn 1.85
Mn3 0.5689 0.9311 0.5000  1 Mn 1.85
Mn4 0.9311 0.4311 0.5000  1 Mn 1.85
Pt1 0.0000 0.0000 0.5000  2 Pt 2.75
Pt2 0.5000 0.5000 0.5000  2 Pt 2.75

----------

[1]
## Pr3AsS5Cl2 (meta-GGA SCAN)

Data for Pr3AsS5Cl2 at its PBEsol-relaxed geometry.

**Energy relative to the elements, uncorrected**: -1.96 eV per atom
**Space group**: Cc

Geometry as POSCAR:
```
Pr3AsS5Cl2
1.0
10.861 -3.452 0.000
10.861 3.452 0.000
-1.057 0.000 6.893
Pr As S Cl
6 2 10 4
Direct
0.055 0.637 0.845
0.203 0.797 0.500
0.488 0.912 0.865
0.637 0.055 0.345
0.797 0.203 0.000
0.912 0.488 0.365
0.353 0.736 0.064
0.736 0.353 0.564
0.001 0.162 0.371
0.162 0.001 0.871
0.393 0.543 0.832
0.543 0.393 0.332
0.562 0.665 0.529
0.665 0.562 0.029
0.714 0.827 0.603
0.827 0.714 0.103
0.867 0.986 0.667
0.986 0.867 0.167
0.111 0.319 0.735
0.228 0.449 0.477
0.319 0.111 0.235
0.449 0.228 0.977
```

=====

[2]
## AsPtCl2 (meta-GGA SCAN)

Data for AsPtCl2 at its PBEsol-relaxed geometry.

**Energy relative to the elements, uncorrected**: 0.32 eV per atom
**Space group**: Cmmm

Geometry as POSCAR:
```
AsPtCl2
1.0
1.511 -2.862 0.000
1.511 2.862 0.000
0.000 0.000 8.707
As Pt Cl
1 1 2
Direct
0.000 0.000 0.000
0.000 0.000 0.500
0.500 0.500 0.288
0.500 0.500 0.712
```

=====

[3]
## AsPtCl2 (meta-GGA SCAN)

Data for AsPtCl2 at its PBEsol-relaxed geometry.

**Energy relative to the elements, uncorrected**: 0.79 eV per atom
**Space group**: P4/mmm

Geometry as POSCAR:
```
AsPtCl2
1.0
4.224 0.000 0.000
0.000 4.224 0.000
0.000 0.000 3.903
As Pt Cl
1 1 2
Direct
0.000 0.000 0.000
0.500 0.500 0.000
0.000 0.500 0.500
0.500 0.000 0.500
```

=====

[4]
## AsPtCl2 (meta-GGA SCAN)

Data for AsPtCl2 at its PBEsol-relaxed geometry.

**Energy relative to the elements, uncorrected**: 0.20 eV per atom
**Space group**: R-3m

Geometry as POSCAR:
```
AsPtCl2
1.0
1.540 0.889 8.758
-1.540 0.889 8.758
0.000 -1.778 8.758
As Pt Cl
1 1 2
Direct
0.000 0.000 0.000
0.500 0.500 0.500
0.414 0.414 0.414
0.586 0.586 0.586
```

=====

[5]
## AsPtCl2 (meta-GGA SCAN)

Data for AsPtCl2 at its PBEsol-relaxed geometry.

**Energy relative to the elements, uncorrected**: 0.77 eV per atom
**Space group**: Cmmm

Geometry as POSCAR:
```
AsPtCl2
1.0
2.974 -3.950 0.000
2.974 3.950 0.000
0.000 0.000 2.940
As Pt Cl
1 1 2
Direct
0.000 0.000 0.000
0.500 0.500 0.000
0.000 0.500 0.500
0.500 0.000 0.500
```

=====

[6]
## AsPtCl2 (meta-GGA SCAN)

Data for AsPtCl2 at its PBEsol-relaxed geometry.

**Energy relative to the elements, uncorrected**: 0.26 eV per atom
**Space group**: Fmmm

Geometry as POSCAR:
```
AsPtCl2
1.0
0.000 3.079 4.113
2.846 0.000 4.113
2.846 3.079 0.000
As Pt Cl
1 1 2
Direct
0.000 0.000 0.000
0.500 0.500 0.500
0.000 0.500 0.500
0.500 0.000 0.000
```

=====

[7]
## AsPt2Cl (meta-GGA SCAN)

Data for AsPt2Cl at its PBEsol-relaxed geometry.

**Energy relative to the elements, uncorrected**: 0.21 eV per atom
**Space group**: Cmmm

Geometry as POSCAR:
```
AsPt2Cl
1.0
2.258 -2.282 0.000
2.258 2.282 0.000
0.000 0.000 6.434
As Pt Cl
1 2 1
Direct
0.000 0.000 0.000
0.500 0.500 0.214
0.500 0.500 0.786
0.000 0.000 0.500
```

=====

[8]
## AsPt2Cl (meta-GGA SCAN)

Data for AsPt2Cl at its PBEsol-relaxed geometry.

**Energy relative to the elements, uncorrected**: 0.22 eV per atom
**Space group**: Imm2

Geometry as POSCAR:
```
AsPt2Cl
1.0